
Public key Exceeding Mod P? A Clarification Request On The Discrete Logarithm Problem

I tried to observe / implement the discrete logarithm problem but I noticed something about it; but before I get into it let me give some clarification which is open to correction.

a = b^x mod P

Where as

a = the public key of the address;

b = the generator point of the secp256k1 koblitz curve (this is the curve in context);

x = the discrete log;

P = the modular integer.

I coupled all parameters below:

A = 044f355bdcb7cc0af728ef3cceb9615d90684bb5b2ca5f859ab0f0b704075871aa385b6b1b8ead809ca67454d9683fcf2ba03456d6fe2c4abe2b07f0fbdbb2f1c1 (uncompressed public key)
034f355bdcb7cc0af728ef3cceb9615d90684bb5b2ca5f859ab0f0b704075871aa : (compressed public key)

B = 04 79BE667E F9DCBBAC 55A06295 CE870B07 029BFCDB 2DCE28D9 59F2815B 16F81798 483ADA77 26A3C465 5DA4FBFC 0E1108A8 FD17B448 A6855419 9C47D08F FB10D4B8 (uncompressed generator point)

02 79BE667E F9DCBBAC 55A06295 CE870B07 029BFCDB 2DCE28D9 59F2815B 16F81798 (compress generator point)

X = ?


I don't actually know what part of the parameters I should use ( compressed or uncompressed)

N. B : I tried the uncompressed public key to Mod P but the uncompressed public key exceeded the Mod P in size.

What should I do about this?

Someone pasted data records at this point >
/*
Entry 1:
CrRhSeN2: optimized geometry, PBE-GGA.

It has space group P4/mmm (No. 123), with a = 3.7781 Å, b = 3.7781 Å, c = 5.6276 Å, α = 90.00°, β = 90.00° and γ = 90.00°. The distinct sites, in fractional coordinates, are Cr at (0.0000, 0.0000, 0.0000), Rh at (0.5000, 0.5000, 0.5000), Se at (0.5000, 0.5000, 0.0000) and N at (0.0000, 0.5000, 0.5000).

For the density of states at the Fermi level, the calculation gives 0.55 states/eV/atom. Its excess energy over the best structure of this formula in the dataset is 7.641 kcal/mol of atoms. The crystal system is tetragonal. For the formation energy without anion corrections, the calculation gives 0.976 eV/atom.

=====

Entry 2:
LaI2Br: optimized geometry, PBE-GGA.

It has space group Fm-3m (No. 225), with a = 8.0210 Å, b = 8.0210 Å, c = 8.0210 Å, α = 90.00°, β = 90.00° and γ = 90.00°. The distinct sites, in fractional coordinates, are La at (0.0000, 0.0000, 0.0000), I at (0.2500, 0.2500, 0.2500) and Br at (0.0000, 0.0000, 0.5000).

For the density of states at the Fermi level, the calculation gives 0.00 states/eV/atom. Its excess energy over the best structure of this formula in the dataset is 10.018 kcal/mol of atoms. The crystal system is cubic. For the formation energy without anion corrections, the calculation gives -1.256 eV/atom.

=====

Entry 3:
SrLiCoGe2: optimized geometry, PBE-GGA.

It has space group I-4m2 (No. 119), with a = 4.2615 Å, b = 4.2615 Å, c = 10.2984 Å, α = 90.00°, β = 90.00° and γ = 90.00°. The distinct sites, in fractional coordinates, are Sr at (0.0000, 0.0000, 0.0000), Li at (0.0000, 0.5000, 0.7500), Co at (0.0000, 0.5000, 0.2500) and Ge at (0.0000, 0.0000, 0.3662).

For the density of states at the Fermi level, the calculation gives 0.73 states/eV/atom. As for the formation energy: -0.345 eV per atom. Its excess energy over the best structure of this formula in the dataset is 0.000 kcal/mol of atoms. The crystal system is tetragonal.

=====

Entry 4:
Y3ThAl8: optimized geometry, PBE-GGA.

It has space group P3m1 (No. 156), with a = 5.5710 Å, b = 5.5710 Å, c = 9.2783 Å, α = 90.00°, β = 90.00° and γ = 120.00°. The distinct sites, in fractional coordinates, are Y at (0.0000, 0.0000, 0.0000), Y at (0.0000, 0.0000, 0.3648), Y at (0.3333, 0.6667, 0.8661), Th at (0.3333, 0.6667, 0.5003), Al at (0.0077, 0.5038, 0.1820), Al at (0.3265, 0.1632, 0.6864), Al at (0.6667, 0.3333, 0.4307) and Al at (0.6667, 0.3333, 0.9373).

For the density of states at the Fermi level, the calculation gives 0.65 states/eV/atom. As for the formation energy: -0.487 eV per atom. Its excess energy over the best structure of this formula in the dataset is 0.298 kcal/mol of atoms. The crystal system is trigonal.

=====

Entry 5:
SmTh5N6: optimized geometry, PBE-GGA.
*/


  • a = b^x mod P Where as

    a = the public key of the address;

    b = the generator point of the secp256k1 koblitz curve (this is the curve in context);

    x = the discrete log;

    P = the modular integer.

    We are given a discrete logarithm problem (DLOG) ( also called the index calculus ); That is given a, b, and P find x such that a = b^x mod P is held. The above is actually the multiplicative notation for finite field DLOG as used by OP. ECC DLOG is additive and has different notation as;


    The beginning byte provides information about compression.

    To find the y, put the x into the curve equation and solve the quadratic residue by the Tonelli-Shanks algorithm.

    In your case, both are given, no problem. Use the uncompressed public key.

    The current record for secp256k1 is 114-bit On 16 June 2020 by Aleksander Zieniewic and they provided their software. So, if you don't have a low target, you cannot break the discrete log.

    I tried the uncompressed public key to Mod P but the uncompressed public key exceeded the Mod P in size.

    A point Q in the Elliptic curve when used affine coordinate system it has two coordinates as Q=(x,y) where x,y from the defining field (P in your case). When checking a point Q is either on the curve or not put x and y into the curve equation y^2 = x^3+ax+b and check the equality.

    To uncompress insert the value of x into the equation x^3+ax+b mod P to get let say value a, then use the Tonelli-Shanks algorithm to find the square root of a in this equation y^2 = a mod P to find y and -y. According to compression value choose y or -y.

    update per comment

    I tried using the compressed public key but it was still bigger than mod p.

    Compression a point requires information about what is the compression. Now you have given two forms of the public key a;

    1. No compression: since the beginning starts with 04
    2. Compression but choose the -y since starts wiht 03

    Using capitals here not to confuse with hex a;

    A = 04
    A = 03

    You can use the curve equation to derive the second part with chosen -y

    And you can compare the coordinate values with

    a = 0x4f355bdcb7cc0af728ef3cceb9615d90684bb5b2ca5f859ab0f0b704075871aa
    if a>p:

    or use yours eye and mind;

    x(A)= 4f355bdcb7cc0af728ef3cceb9615d90684bb5b2ca5f859ab0f0b704075871aa
    y(A)= 385b6b1b8ead809ca67454d9683fcf2ba03456d6fe2c4abe2b07f0fbdbb2f1c1